Jake grinned as the flames continued to consume the house down the hill. “You’ve changed, sweetheart. Improved.”

She chuckled. “You’ve got to confront your fears in order to overcome them, right?”

Records of crystals, kept here for reference:
=====
Record 1
PmZn4Ga: calculated XRD peak list (λ = 1.5418 Å (Cu Kα)), based on the PBE geometry in Alexandria.
No peak broadening, texture or thermal motion is included.

Most intense lines, 10° ≤ 2θ ≤ 90°, sorted by position:
2theta  intensity  hkl
32.4  28  2 1 0
34.8  100  2 1 1
35.0  84  1 1 2
37.5  33  0 0 3
38.9  16  3 0 1
39.5  22  1 0 3
41.2  71  2 1 2
43.0  48  0 2 0
49.8  18  4 0 0
58.3  18  0 2 3
63.9  16  4 0 3
70.2  16  1 1 5

Atomic structure:
abc: 7.3257 4.2113 7.2034
angles: 90.00 90.00 90.00
Space group Pmma (No. 51)
Inequivalent atoms, fractional coordinates:
Pm1 0.2500 0.0000 0.1393 (multiplicity 2)
Zn1 0.0000 0.0000 0.5000 (multiplicity 2)
Zn2 0.0567 0.5000 0.8218 (multiplicity 4)
Zn3 0.2500 0.5000 0.4428 (multiplicity 2)
Ga1 0.2500 0.0000 0.7311 (multiplicity 2)

Record 2
Pm5Zn4Ga: calculated XRD peak list (λ = 1.5418 Å (Cu Kα)), based on the PBE geometry in Alexandria.
No peak broadening, texture or thermal motion is included.

Most intense lines, 10° ≤ 2θ ≤ 90°, sorted by position:
2theta  intensity  hkl
24.2  7  0 0 5
24.4  14  1 0 0
34.6  100  1 0 5
34.7  50  1 1 0
42.8  7  1 1 5
49.5  9  0 0 10
49.9  18  2 0 0
61.9  18  1 1 10
62.1  36  2 1 5
73.0  11  2 0 10
83.0  8  1 0 15
83.7  15  3 1 0

Atomic structure:
abc: 3.6542 3.6542 18.4032
angles: 90.00 90.00 90.00
Space group P4/mmm (No. 123)
Inequivalent atoms, fractional coordinates:
Pm1 0.0000 0.0000 0.0000 (multiplicity 1)
Pm2 0.0000 0.0000 0.2000 (multiplicity 2)
Pm3 0.0000 0.0000 0.3998 (multiplicity 2)
Zn1 0.5000 0.5000 0.1002 (multiplicity 2)
Zn2 0.5000 0.5000 0.2984 (multiplicity 2)
Ga1 0.5000 0.5000 0.5000 (multiplicity 1)

Record 3
Pr3Ga: calculated XRD peak list (λ = 1.5418 Å (Cu Kα)), based on the PBE geometry in Alexandria.
No peak broadening, texture or thermal motion is included.

Most intense lines, 10° ≤ 2θ ≤ 90°, sorted by position:
2theta  intensity  hkl
18.1  6  1 0 0
25.7  5  1 1 0
31.6  100  1 1 1
36.7  50  2 0 0
41.2  3  2 1 0
45.3  2  2 1 1
52.9  35  2 2 0
62.9  41  3 1 1
66.1  12  2 2 2
78.0  6  4 0 0
86.6  17  3 3 1
89.4  16  4 2 0

Atomic structure:
abc: 4.8994 4.8994 4.8994
angles: 90.00 90.00 90.00
Space group Pm-3m (No. 221)
Inequivalent atoms, fractional coordinates:
Pr1 0.0000 0.0000 0.5000 (multiplicity 3)
Ga1 0.5000 0.5000 0.5000 (multiplicity 1)

Record 4
Pr9Ga4: calculated XRD peak list (λ = 1.5418 Å (Cu Kα)), based on the PBE geometry in Alexandria.
No peak broadening, texture or thermal motion is included.

Most intense lines, 10° ≤ 2θ ≤ 90°, sorted by position:
2theta  intensity  hkl
27.8  26  3 0 1
29.3  14  4 0 0
31.5  100  3 2 1
34.2  29  0 0 2
34.9  10  4 1 1
37.6  17  1 5 0
45.7  8  4 0 2
51.8  14  1 5 2
57.8  14  2 7 1
59.6  21  3 2 3
64.1  9  7 4 1
64.8  8  5 5 2

Atomic structure:
abc: 12.1850 12.1850 5.2376
angles: 90.00 90.00 90.00
Space group I4/m (No. 87)
Inequivalent atoms, fractional coordinates:
Pr1 0.0000 0.0000 0.0000 (multiplicity 2)
Pr2 0.0945 0.3725 0.0000 (multiplicity 8)
Pr3 0.1111 0.1854 0.5000 (multiplicity 8)
=====

He pulled her close and kissed her. “Absolutely.”

Daniel groaned. “Do you mind?”

These calculated crystals were left in the piece by mistake >
<<<
Starting from the PBE geometry in Alexandria, the PXRD pattern of Ce14Pu3Ru6 was simulated for Cu Ka.

Structure:
```
Ce14Pu3Ru6
1.0
9.8690 0.0000 0.0000
-4.9345 8.5468 0.0000
0.0000 0.0000 6.2524
Ce Pu Ru
14 3 6
direct
0.0000 0.0000 0.0000
0.0634 0.5317 0.7621
0.2063 0.4127 0.2318
0.2063 0.7937 0.2318
0.2973 0.1486 0.5564
0.3633 0.1816 0.0618
0.4683 0.5317 0.7621
0.4683 0.9366 0.7621
0.5873 0.7937 0.2318
0.6667 0.3333 0.5181
0.8184 0.1816 0.0618
0.8184 0.6367 0.0618
0.8514 0.1486 0.5564
0.8514 0.7027 0.5564
0.0000 0.0000 0.4150
0.3333 0.6667 0.5482
0.6667 0.3333 0.9338
0.1488 0.2976 0.7253
0.1488 0.8512 0.7253
0.5162 0.0325 0.2513
0.5162 0.4838 0.2513
0.7024 0.8512 0.7253
0.9675 0.4838 0.2513
```

Most intense lines, 2θ = 15–90°, by angle:
17.58°, I = 17.0
30.45°, I = 21.3
31.16°, I = 37.6
33.95°, I = 32.9
34.60°, I = 22.4
35.58°, I = 58.6
36.42°, I = 100.0
42.95°, I = 25.9
48.65°, I = 14.8
51.83°, I = 15.5



Starting from the PBE geometry in Alexandria, the PXRD pattern of Li2Bi2Au was simulated for Cu Ka.

Structure:
```
Li2Bi2Au
1.0
3.7998 -4.5384 0.0000
3.7998 4.5384 0.0000
0.0000 0.0000 7.0290
Li Bi Au
4 4 2
direct
0.1505 0.7182 0.0000
0.2818 0.8495 0.5000
0.7182 0.1505 0.5000
0.8495 0.2818 0.0000
0.2495 0.3350 0.3228
0.3350 0.2495 0.8228
0.6650 0.7505 0.8228
0.7505 0.6650 0.3228
0.0000 0.5000 0.6637
0.5000 0.0000 0.1637
```

Most intense lines, 2θ = 15–90°, by angle:
19.79°, I = 52.3
23.41°, I = 100.0
25.34°, I = 37.2
32.21°, I = 68.8
34.36°, I = 94.7
34.77°, I = 28.0
40.21°, I = 61.6
41.54°, I = 29.1
48.63°, I = 25.2
66.28°, I = 27.6



Starting from the PBE geometry in Alexandria, the PXRD pattern of IrRh2 was simulated for Cu Ka.

Structure:
```
IrRh2
1.0
-1.9266 1.9266 11.5404
1.9266 -1.9266 11.5404
1.9266 1.9266 -11.5404
Ir Rh
4 8
direct
0.2910 0.5410 0.7500
0.4590 0.7090 0.7500
0.5410 0.2910 0.2500
0.7090 0.4590 0.2500
0.0414 0.7914 0.2500
0.1246 0.3746 0.7500
0.2086 0.9586 0.2500
0.3746 0.1246 0.2500
0.6254 0.8754 0.7500
0.7914 0.0414 0.7500
0.8754 0.6254 0.2500
0.9586 0.2086 0.7500
```

Most intense lines, 2θ = 15–90°, by angle:
15.36°, I = 3.2
23.41°, I = 6.3
30.21°, I = 3.8
35.84°, I = 2.0
40.58°, I = 100.0
47.20°, I = 48.5
68.97°, I = 31.0
83.16°, I = 25.0
83.28°, I = 12.4
87.81°, I = 11.1



Starting from the PBE geometry in Alexandria, the PXRD pattern of Sr2LiCd3Bi4 was simulated for Cu Ka.

Structure:
```
Sr2LiCd3Bi4
1.0
4.9065 0.0000 0.0000
0.0000 4.9065 0.0000
0.0000 0.0000 13.2634
Sr Li Cd Bi
2 1 3 4
direct
0.0000 0.5000 0.2480
0.5000 0.0000 0.7520
0.5000 0.5000 0.0000
0.0000 0.0000 0.0000
0.0000 0.5000 0.6448
0.5000 0.0000 0.3552
0.0000 0.0000 0.5000
0.0000 0.5000 0.8654
0.5000 0.0000 0.1346
0.5000 0.5000 0.5000
```

Most intense lines, 2θ = 15–90°, by angle:
19.29°, I = 43.9
26.56°, I = 33.5
27.15°, I = 47.3
29.05°, I = 100.0
36.63°, I = 74.7
37.52°, I = 70.6
38.58°, I = 42.6
52.77°, I = 26.3
54.25°, I = 31.6
66.54°, I = 26.9
>>>

Jake ignored him and gazed into Astrid’s eyes. “You got any other fears you’d like to confront, sweetheart?”

“Like what?”

“Like, allowing an ex-cop who cares about you into your heart?”

She grinned with joy. “I might be persuaded to open my heart to you. But first we’d better rescue my sister.” She glanced at Daniel. “Graves said no cops. So maybe we should leave this incompetent corrupt one out of it from now on. What do you think?”

Jake inspected him. “I think we may still have some use for him. As long as he promises to listen to you from now on.”

Chapter Twenty-Four

### Records of crystals, kept here for reference
=====
1.
Theoretical XRD peak list of KPm2CoO4 for Cu Kα (λ = 1.5418 Å), from a DFT-relaxed cell (GGA+U, Alexandria).

```
KPm2CoO4
1.0
1.8451 -6.2658 0.0000
1.8451 6.2658 0.0000
0.0000 0.0000 11.8186
K Pm Co O
2 4 2 8
Direct
0.0646 0.9354 0.7500
0.9354 0.0646 0.2500
0.3690 0.6310 0.5625
0.3690 0.6310 0.9375
0.6310 0.3690 0.0625
0.6310 0.3690 0.4375
0.2316 0.7684 0.2500
0.7684 0.2316 0.7500
0.0000 0.0000 0.0000
0.0000 0.0000 0.5000
0.2435 0.7565 0.0927
0.2435 0.7565 0.4073
0.4163 0.5837 0.7500
0.5837 0.4163 0.2500
0.7565 0.2435 0.5927
0.7565 0.2435 0.9073
```

Main lines, in order of rising 2θ (2θ = 5–70°):
2θ/deg, d [Å], I_rel
15.0, 5.909, 35
16.0, 5.536, 58
25.2, 3.540, 35
26.7, 3.335, 100
29.4, 3.036, 55
32.4, 2.767, 84
33.3, 2.693, 62
34.0, 2.633, 59
35.8, 2.505, 42
46.1, 1.968, 38
49.4, 1.845, 44
50.8, 1.797, 36



2.
Theoretical XRD peak list of KPuCoO4 for Cu Kα (λ = 1.5418 Å), from a DFT-relaxed cell (GGA+U, Alexandria).

```
KPuCoO4
1.0
-3.2081 3.4811 4.9493
3.2081 -3.4811 4.9493
3.2081 3.4811 -4.9493
K Pu Co O
2 2 2 8
Direct
0.4085 0.1585 0.2500
0.5915 0.8415 0.7500
0.0000 0.5000 0.5000
0.5000 0.5000 0.0000
0.0000 0.0000 0.5000
0.0000 0.5000 0.0000
0.1524 0.7115 0.4410
0.2295 0.2885 0.9410
0.2511 0.2983 0.5472
0.2511 0.7040 0.9528
0.7489 0.2960 0.0472
0.7489 0.7017 0.4528
0.7705 0.7115 0.0590
0.8476 0.2885 0.5590
```

Main lines, in order of rising 2θ (2θ = 5–70°):
2θ/deg, d [Å], I_rel
16.5, 5.384, 100
17.9, 4.949, 19
27.8, 3.208, 13
30.5, 2.934, 30
30.6, 2.923, 55
31.4, 2.847, 27
33.3, 2.692, 17
36.3, 2.475, 14
38.1, 2.359, 23
42.4, 2.130, 14
50.9, 1.793, 23
53.7, 1.708, 23

* * * * *

This entry pairs a crystal structure of Si5Pt6 with its theoretical powder diffraction line list. Radiation: Cu Kα. Structure: a structure optimized by DFT (GGA-PBE).

Most intense lines, 2θ from 10° to 90°, low angle first:
d_spacing, two_theta, I (rel.)
3.398, 26.23, 22
3.115, 28.65, 19
3.093, 28.87, 28
3.078, 29.01, 25
3.002, 29.76, 100
2.833, 31.58, 36
2.225, 40.54, 23
2.170, 41.61, 66
2.157, 41.88, 52
2.015, 44.99, 57
1.977, 45.89, 22
1.770, 51.65, 37

Structural model:
```
Si5Pt6
1.0
6.2448 0.0000 0.0000
0.0000 3.5396 0.0000
-0.9577 0.0000 15.5762
Si Pt
10 12
Direct
0.0537 0.2500 0.3807
0.2226 0.7500 0.9271
0.2314 0.7500 0.1651
0.3129 0.2500 0.7798
0.4354 0.2500 0.5647
0.5646 0.7500 0.4353
0.6871 0.7500 0.2202
0.7686 0.2500 0.8349
0.7774 0.2500 0.0729
0.9463 0.7500 0.6193
0.0089 0.7500 0.7813
0.1480 0.2500 0.0522
0.1977 0.7500 0.4986
0.2795 0.7500 0.3217
0.3427 0.7500 0.6742
0.4724 0.2500 0.9230
0.5276 0.7500 0.0770
0.6573 0.2500 0.3258
0.7205 0.2500 0.6783
0.8023 0.2500 0.5014
0.8520 0.7500 0.9478
0.9911 0.2500 0.2187
```

---

This entry pairs a crystal structure of SiPt3 with its theoretical powder diffraction line list. Radiation: Cu Kα. Structure: a structure optimized by DFT (GGA-PBE).

Most intense lines, 2θ from 10° to 90°, low angle first:
d_spacing, two_theta, I (rel.)
2.763, 32.41, 62
2.529, 35.50, 43
2.499, 35.94, 41
2.402, 37.44, 35
=====
### The records of crystals stop here

Jake drove Astrid to a secluded parking lot near the warehouse and parked the car. She was so glad he’d ditched the Ferrari back at Clara’s college and was now driving her car – it was much less conspicuous. She prayed Graves didn’t know Jake had switched cars, but he seemed to have a knack of knowing what was going on…

Daniel followed in his car, and he pulled up into the space next to them. It was quiet here, other than the sound of the traffic coming from the highway beyond the trees. Astrid and Jake climbed out the car and they all stood facing each other in the grim parking lot. The gray clouds were starting to gather, and the temperature had dropped, causing an icy chill to creep through Astrid. She held Jake’s hand, trying to absorb his warmth and strength, preparing herself for their final showdown in a couple of hours’ time.

Unless that was a trap too…

The three stood there silently sizing each other up – Daniel leaning on his car on one side and Jake and Astrid standing next to theirs opposite. Daniel spoke first. “Listen, I’m sorry for what happened, all right? Astrid was right. I was wrong. What more can I say?”

“How about ‘I was hoping you’d die in there, Jake?’” Jake growled.

Daniel seemed rattled by this accusation. “It was a mistake!”

“All right… let’s just keep our heads. We can still use you, Daniel. Your contacts. If Astrid’s in agreement?”

She nodded. “Anything that’ll help rescue Emma. So we’re still on to go to the disused warehouse this evening. If that’s not another of Graves’ tricks.”

“It might be,” Jake said. “Anything’s possible. But that’s where Graves is leading us, so that’s where we’ll have to go.”

“I’ll go speak to the local cops,” Daniel said. “I think you’re right – we need some back-up.”

Jake gazed at him. “Are you really gonna ask for help?”

He nodded. “Yeah. We need more manpower.” He smiled sheepishly. “And they’ll probably be wondering why that house exploded – I’ll let them know what’s going on. I’ve got a few contacts around here – I’ll speak to them and get them to surround the warehouse for us later. You’ll go in and confront Graves. They’ll have your back.”

“All right,” Jake said. “But tell them to stay out of sight. He’s already tried to blow me up because we ignored his ‘no cops’ request.”

Astrid drew herself up to her full height. “I’m coming in too.”

“No, Astrid…”

“Yes. He wants me, not you. She’s my sister. I need to be there.”

Jake sighed. “We’ll talk about it later. For now, Daniel, you’d better go talk to your friends. Tell them to be there before seven.”

“I know. I will.” Daniel pulled open his car door and started to climb in. “See you later.”

“Hey,” Jake said. “Don’t even think about screwing me over. It won’t end well for you.”

Daniel shook his head, then he ducked inside the car and drove away.